File:
********
Entry 1:
This record from Alexandria describes a relaxed structure of MnOsO. The functional is PBE with a Hubbard U.

Properties
N(E_F) = 1.76 states/eV/f.u.

```
MnOsO
1.0
3.808 0.000 0.000
-1.904 4.100 0.000
0.000 0.000 5.798
O Mn Os
2 2 2
direct
0.206 0.411 0.250
0.206 0.411 0.750
0.422 0.843 0.000
0.422 0.843 0.500
0.706 0.412 0.250
0.706 0.412 0.750
```



Entry 2:
This record from Alexandria describes a relaxed structure of Mn2Os2O7. The functional is PBE with a Hubbard U.

Properties
N(E_F) = 6.53 states/eV/f.u.

```
Mn2Os2O7
1.0
6.188 0.000 3.573
2.063 5.834 3.573
0.000 0.000 7.146
Mn O Os
4 14 4
direct
0.625 0.625 0.625
0.125 0.625 0.625
0.625 0.625 0.125
0.625 0.125 0.625
0.798 0.202 0.202
0.202 0.202 0.798
0.452 0.048 0.048
0.048 0.452 0.452
0.798 0.798 0.202
0.202 0.798 0.202
0.750 0.750 0.750
0.048 0.048 0.452
0.202 0.798 0.798
0.798 0.202 0.798
0.500 0.500 0.500
0.048 0.452 0.048
0.452 0.048 0.452
0.452 0.452 0.048
0.125 0.125 0.625
0.125 0.625 0.125
0.125 0.125 0.125
0.625 0.125 0.125
```



Entry 3:
This record from Alexandria describes a relaxed structure of MnOs3O. The functional is PBE with a Hubbard U.

Properties
N(E_F) = 5.29 states/eV/f.u.
Polymorph energy (0 for the lowest one) = 2096 meV per atom

```
MnOs3O
1.0
4.422 0.000 0.000
0.000 4.422 0.000
0.000 0.000 4.422
Os O Mn
3 1 1
direct
0.000 0.500 0.000
0.000 0.000 0.500
0.500 0.000 0.000
0.500 0.500 0.500
0.000 0.000 0.000
```



Entry 4:
This record from Alexandria describes a relaxed structure of MnOsO3. The functional is PBE with a Hubbard U.

Properties
N(E_F) = 5.59 states/eV/f.u.

```
MnOsO3
1.0
3.748 0.000 0.000
0.000 3.748 0.000
0.000 0.000 3.748
O Os Mn
3 1 1
direct
0.000 0.500 0.000
0.500 0.000 0.000
0.000 0.000 0.500
0.500 0.500 0.500
0.000 0.000 0.000
```



Entry 5:
This record from Alexandria describes a relaxed structure of MnP2OsO. The functional is PBE with a Hubbard U.

Properties
N(E_F) = 4.01 states/eV/f.u.
Polymorph energy (0 for the lowest one) = 0 meV per atom

```
MnP2OsO
1.0
-0.849 -2.251 4.219
-4.018 -1.986 -1.869
1.952 -2.874 -1.141
Os O P Mn
1 1 2 1
direct
0.000 0.000 0.000
0.000 0.000 0.500
0.500 0.000 0.000
0.000 0.500 0.000
0.500 0.500 0.500
```



Entry 6:
This record from Alexandria describes a relaxed structure of MnP2OsO. The functional is PBE with a Hubbard U.

Properties
N(E_F) = 3.34 states/eV/f.u.
Polymorph energy (0 for the lowest one) = 574 meV per atom

```
MnP2OsO
1.0
-4.392 1.483 0.358
-1.503 -4.394 -0.238
0.192 -0.249 3.386
O P Os Mn
1 2 1 1
direct
0.000 0.000 0.500
0.500 0.000 0.000
0.000 0.500 0.000
0.500 0.500 0.500
0.000 0.000 0.000
```



Entry 7:
This record from Alexandria describes a relaxed structure of MnOsPbO6. The functional is PBE with a Hubbard U.

Properties
N(E_F) = 4.31 states/eV/f.u.

```
MnOsPbO6
1.0
5.209 0.000 0.000
-2.605 4.511 0.000
0.000 0.000 10.502
O Os Pb Mn
12 2 2 2
direct
0.382 0.007 0.148
0.375 0.382 0.852
0.993 0.618 0.352
0.618 0.993 0.852
0.375 0.993 0.648
0.625 0.007 0.352
0.007 0.625 0.852
0.382 0.375 0.352
0.993 0.375 0.148
0.007 0.382 0.648
0.618 0.625 0.648
0.625 0.618 0.148
0.667 0.333 0.250
0.333 0.667 0.750
0.000 0.000 0.500
0.000 0.000 0.000
0.667 0.333 0.750
0.333 0.667 0.250
```



Entry 8:
This record from Alexandria describes a relaxed structure of PmMnOsO6. The functional is PBE with a Hubbard U.

Properties
N(E_F) = 3.89 states/eV/f.u.

```
PmMnOsO6
1.0
5.562 0.000 0.000
-2.781 4.817 0.000
0.000 0.000 8.727
O Pm Os Mn
12 2 2 2
direct
0.316 0.374 0.874
0.058 0.374 0.626
0.684 0.058 0.374
0.316 0.942 0.626
0.626 0.942 0.874
0.942 0.316 0.126
0.374 0.316 0.374
0.684 0.626 0.126
0.942 0.626 0.374
0.374 0.058 0.126
0.626 0.684 0.626
0.058 0.684 0.874
0.333 0.667 0.250
0.667 0.333 0.750
0.333 0.667 0.750
0.667 0.333 0.250
0.000 0.000 0.000
0.000 0.000 0.500
```



Entry 9:
This record from Alexandria describes a relaxed structure of Pm2MnOsO8. The functional is PBE with a Hubbard U.

```
Pm2MnOsO8
1.0
4.791 -0.132 0.000
-0.126 4.788 -0.008
0.006 0.005 6.715
********

Assignment:
Search the contents above for the word "lowest" and duplicate each line that has it.

Outcome:
Polymorph energy (0 for the lowest one) = 2096 meV per atom
Polymorph energy (0 for the lowest one) = 0 meV per atom
Polymorph energy (0 for the lowest one) = 574 meV per atom